Listen up, since this is one of the most important things you can hear. I've already said much of this in my discussions on the basic income, but it deserves saying again.
People don't understand economics - and I'll tell you why. It's because people see the world in terms of money. Doesn't money make the world go round? Sure; but it's only money. Money isn't wealth or anything else but a book-keeping tool. That doesn't mean I think money is bad - on the contrary, unless we reach a true 'post-scarcity' economy (if ever), having money is clearly better than not having it - no modern society has ever been able to do without some sort of money.
## Unrelated to this article: materials data
+++
(1)
# CsMgSi2H

A relaxed structure of CsMgSi2H (GGA-PBE, Alexandria).

Summary:
E: -1.27 eV/atom
Space group: No. 123

```
data_CsMgSi2H
_chemical_formula_sum 'Cs1 Mg1 Si2 H1'
_cell_length_a 7.1705
_cell_length_b 8.3613
_cell_length_c 7.1705
_cell_angle_alpha 90.00
_cell_angle_beta 90.00
_cell_angle_gamma 90.00
_space_group_name_H-M_alt 'P 1'
_space_group_IT_number 1
loop_
_space_group_symop_operation_xyz
'x,y,z'
loop_
_atom_site_label
_atom_site_type_symbol
_atom_site_fract_x
_atom_site_fract_y
_atom_site_fract_z
Si1 Si 0.5000 0.0000 0.0000
Si2 Si 0.0000 0.0000 0.5000
Cs1 Cs 0.0000 0.0000 0.0000
H1 H 0.5000 0.5000 0.5000
Mg1 Mg 0.0000 0.5000 0.0000
```


(2)
# Cs2MgSnH6

A relaxed structure of Cs2MgSnH6 (GGA-PBE, Alexandria).

Summary:
E: -2.77 eV/atom
Space group: No. 12

```
data_Cs2MgSnH6
_chemical_formula_sum 'Cs2 Mg1 Sn1 H6'
_cell_length_a 6.2558
_cell_length_b 6.2557
_cell_length_c 6.2638
_cell_angle_alpha 59.99
_cell_angle_beta 59.99
_cell_angle_gamma 89.99
_space_group_name_H-M_alt 'P 1'
_space_group_IT_number 1
loop_
_space_group_symop_operation_xyz
'x,y,z'
loop_
_atom_site_label
_atom_site_type_symbol
_atom_site_fract_x
_atom_site_fract_y
_atom_site_fract_z
H1 H 0.2350 0.2351 0.9999
H2 H 0.2352 0.2352 0.5297
H3 H 0.2350 0.7650 0.0000
H4 H 0.7650 0.7649 0.0001
H5 H 0.7648 0.7648 0.4703
H6 H 0.7650 0.2350 0.0000
Cs1 Cs 0.2499 0.7502 0.5000
Cs2 Cs 0.7501 0.2499 0.5000
Sn1 Sn 0.5000 0.5000 0.0000
Mg1 Mg 0.0000 0.0000 0.0000
```


(3)
# Cs2MgZnH6

A relaxed structure of Cs2MgZnH6 (GGA-PBE, Alexandria).

Summary:
E: -2.56 eV/atom
Space group: No. 69

```
data_Cs2MgZnH6
_chemical_formula_sum 'Cs2 Mg1 Zn1 H6'
_cell_length_a 6.0583
_cell_length_b 6.0583
_cell_length_c 6.1145
_cell_angle_alpha 59.78
_cell_angle_beta 59.78
_cell_angle_gamma 89.10
_space_group_name_H-M_alt 'P 1'
_space_group_IT_number 1
loop_
_space_group_symop_operation_xyz
'x,y,z'
loop_
_atom_site_label
_atom_site_type_symbol
_atom_site_fract_x
_atom_site_fract_y
_atom_site_fract_z
H1 H 0.7721 0.7721 0.4558
H2 H 0.7709 0.7709 0.0000
H3 H 0.2279 0.2279 0.5442
H4 H 0.3071 0.6929 0.0000
H5 H 0.6929 0.3071 0.0000
H6 H 0.2291 0.2291 0.0000
Mg1 Mg 0.0000 0.0000 0.0000
Cs1 Cs 0.7500 0.2500 0.5000
Cs2 Cs 0.2500 0.7500 0.5000
Zn1 Zn 0.5000 0.5000 0.0000
```


(4)
# Cs3Mn2H9

A relaxed structure of Cs3Mn2H9 (GGA-PBE, Alexandria).

Summary:
E: -3.73 eV/atom
Space group: No. 167

```
data_Cs3Mn2H9
_chemical_formula_sum 'Cs6 Mn4 H18'
_cell_length_a 7.9892
_cell_length_b 7.9892
_cell_length_c 7.9892
_cell_angle_alpha 86.10
_cell_angle_beta 86.10
_cell_angle_gamma 86.10
_space_group_name_H-M_alt 'P 1'
_space_group_IT_number 1
loop_
_space_group_symop_operation_xyz
'x,y,z'
loop_
_atom_site_label
_atom_site_type_symbol
_atom_site_fract_x
_atom_site_fract_y
_atom_site_fract_z
Cs1 Cs 0.2500 0.9020 0.5980
Cs2 Cs 0.5980 0.2500 0.9020
Cs3 Cs 0.9020 0.5980 0.2500
Cs4 Cs 0.7500 0.0980 0.4020
Cs5 Cs 0.0980 0.4020 0.7500
Cs6 Cs 0.4020 0.7500 0.0980
H1 H 0.6432 0.8568 0.7500
H2 H 0.3568 0.1432 0.2500
+++
## Here the article continues
So if money isn't the answer, what is? What's it all about? The building blocks of the economy are production and consumption. That's it - and there is always a balance between them; money doesn't enter into it. Yes, there are durable goods, especially buildings and other infrastructure, but that's only a detail and could be accounted for with a slight modification to the definition of 'consumption'. So for the remainder of this essay, we will assume that no imbalance between production and consumption can persist.
What happens if we add one more person to the economy, whose production is much higher than his consumption? Everyone else is made, on the whole, better off, since they can either reduce their production or increase their consumption, whichever is preferable (and a sane economic system gives them that choice). The reverse is equally easy to see. Of course, we don't need to add a hypothetical person; we can isolate any one person - or even a group of people - from the economy and determine thus whether they produce more than they consume, and are an economic positive to strangers, or consume more than they produce, and oppositely are an economic negative. I've just assumed production and consumption can be compared, even though there are many goods and services - Is that justified? Yes. There is always in every economy a relative worth of all goods and services in demand, which is approximated by the money system; unless the market is significantly distorted, one can assume that X dollars of good A and X dollars of good B are worth the same and not run into serious error.
Now, if one doesn't produce anything, one can only be a negative (I'll from now on use 'positive' and 'negative' as short forms for the two possibilities). How many people don't produce anything? Many, many, perhaps a majority of all Americans! Almost all children, retired people, unemployed people, and those with sufficient wealth abstaining from productive work, to name the obvious. Housewives, that is women that do not engage in productive work outside the home, may produce something but almost surely less than their consumption; the same of domestic servants. Adding up all these categories surely is a majority of the population. And of these negatives, the most negative are those that consume the most, that is essentially to say, are wealthiest. So the 'bums' and 'welfare moms' that are widely disliked actually contribute far less a negative than the wealthier parasites. Who are these parasites? - A numerical majority are Fussell's 'upper middle class' ( ), and the jobs associated with this class; I especially refer to law and finance, of which most of the positions (at least those carrying six-figure and higher incomes) have negative worth, for we would all be better off if society were set up so as to have fewer lawyers, paper-pushers, and Wall Street 'geniuses' that make millions by bankrupting ordinary people. Despite their utility or lack thereof those people they consume much more than we do, and they get more and more over time because they control the government and all the power centers of our society; they are the 'money power' that controls both the Democrats and Republicans.
Nonetheless, despite that negative assessment, the existence of negative people is a certainty. Just as there is always a balance of production and consumption, there is always a balance of positive and negative persons. This is simply because people have differing productive capacities and differing opportunities for both production and consumption. It is not possible to enforce equality of the two; nor is it reasonable to, for it would imply that if you don't work, you starve and die - no retirement allowed, and so forth. It is not possible, the great libertarian affectation is a lie! It's a lie that people get ahead solely on their own work, it is bullshit! People can not complain, therefore, about having to support negatives, as it is almost sure that they have been, and will again be, a negative. But they should complain about those super-parasites mentioned in the last paragraph, the existence of which benefits no one but themselves, and causes the ordinary man (that is lucky enough to have a job) to have to produce more and consume less than he ought to in a just world.
Now we should all know how racial and sexual politics works in the modern world, shouldn't we? It always works to promote women and minorities regardless of justice and disadvantage white men; in every sort of job white men now face ludicrous difficulties compared to equally qualified women and non-whites (and sometimes other 'protected' groups). It means that for white men, the criticism in the last paragraph is multiplied; that the transfer of wealth (as that is what the difference between group production and consumption is) from employed white men in the working classes is much greater than it would be with only those conditions, as we further support the women and non-whites that, due to various forms of affirmative action, get more pay, and thus consume more, than equivalent white men (producing the same) would. Do I even need to mention the numerous 'diversity' positions with negative economic value? - They are merely a more 'in your face' illustration of the problem. Racial and gender divisions are a distraction from the real problem; the feminists have always represented the upper middle class (or perhaps we should say, the wives thereof) and the race artists those negroes and other minorities that want to get into it; class is the only division that matters to white men but we've let them pull the wool over our eyes. And the ruling classes have only increased their oppression by adding women and non-whites to their number.
And this is why I am a socialist and you should be too. The guaranteed income ( ) which I support recognises all this that I have discussed. It is made to allow people to be negatives to the extent necessary, but not farther. Universal single-payer health care has the same justification, except that the basic income provides for predictable needs while health care is primarily for unpredictable needs. A third such program, which I have not discussed yet and don't think anyone else has, would be the nationalisation of life insurance. While this is only a minor issue compared to the other two, there appears to be no argument against it; and, it has the benefit of allowing us to practically eliminate the chance that still exists of insurance being an incentive to murder, by disallowing anyone to carry more insurance than needed and by keeping the amount and the beneficiary secret (which does not affect the legitimate purpose of such insurance).
The main reason for supporting the basic income and universal health care is that it makes for a more just world. Indeed, it has been understood for some time that the wealthy should be compelled to aid the less wealthy by taxation; only the means are different from today. Besides the numerous and over-complicated direct transfers of wealth, public schools (why not subsidised day care? - same justification), toll-free public roads, and in fact all public services priced below cost or free, are indeed similar transfers of wealth. The basic income violates no principle that our society is now based on; only FUD prevents us from attaining it in the near future.
**Records of crystals that have nothing to do with the text**
- - -
PrP2Pd4: relaxed, PBE.

Results
energy relative to the elements = -0.811 eV/atom
SG = P4_2/mnm (136)

POSCAR file:
```
PrP2Pd4
1.0
7.7548 0.0000 0.0000
0.0000 7.7548 0.0000
0.0000 0.0000 3.8971
Pr P Pd
2 4 8
Direct
0.0000 0.0000 0.0000
0.5000 0.5000 0.5000
0.2219 0.2219 0.5000
0.2781 0.7219 0.0000
0.7219 0.2781 0.0000
0.7781 0.7781 0.5000
0.0849 0.6675 0.5000
0.1675 0.4151 0.0000
0.3325 0.9151 0.5000
0.4151 0.1675 0.0000
0.5849 0.8325 0.0000
0.6675 0.0849 0.5000
0.8325 0.5849 0.0000
0.9151 0.3325 0.5000
```

* * * * *

Record 1
# PBE-GGA LaSbAuO, relaxed
data_LaSbAuO
_chemical_formula_sum 'La2 Sb2 Au2 O2'
_cell_length_a 4.3122
_cell_length_b 4.3122
_cell_length_c 9.8343
_cell_angle_alpha 90.00
_cell_angle_beta 90.00
_cell_angle_gamma 90.00
_symmetry_space_group_name_H-M 'P 1'
_symmetry_Int_Tables_number 1
_symmetry_space_group_name_Hall 'P 1'
loop_
_atom_site_label
_atom_site_type_symbol
_atom_site_fract_x
_atom_site_fract_y
_atom_site_fract_z
La1 La 0.2500 0.2500 0.1112
La2 La 0.7500 0.7500 0.8888
Sb1 Sb 0.2500 0.7500 0.5000
Sb2 Sb 0.7500 0.2500 0.5000
Au1 Au 0.2500 0.2500 0.7129
Au2 Au 0.7500 0.7500 0.2871
O1 O 0.2500 0.7500 0.0000
O2 O 0.7500 0.2500 0.0000
# Density of states at the Fermi level = 4.7 states/eV/cell

Record 2
# PBE-GGA LaSc2AuO, relaxed
data_LaSc2AuO
_chemical_formula_sum 'La1 Sc2 Au1 O1'
_cell_length_a 4.4660
_cell_length_b 4.4660
_cell_length_c 4.9642
_cell_angle_alpha 90.00
_cell_angle_beta 90.00
_cell_angle_gamma 90.00
_symmetry_space_group_name_H-M 'P 1'
_symmetry_Int_Tables_number 1
_symmetry_space_group_name_Hall 'P 1'
loop_
_atom_site_label
_atom_site_type_symbol
_atom_site_fract_x
_atom_site_fract_y
_atom_site_fract_z
La1 La 0.0000 0.0000 0.0000
Sc1 Sc 0.0000 0.5000 0.5000
Sc2 Sc 0.5000 0.0000 0.5000
Au1 Au 0.5000 0.5000 0.0000
O1 O 0.0000 0.0000 0.5000
# Density of states at the Fermi level = 5.5 states/eV/cell

Record 3
# PBE-GGA La2ScAuO, relaxed
data_La2ScAuO
_chemical_formula_sum 'La2 Sc1 Au1 O1'
_cell_length_a 5.1560
_cell_length_b 5.1560
_cell_length_c 4.2719
_cell_angle_alpha 90.00
_cell_angle_beta 90.00
_cell_angle_gamma 90.00
_symmetry_space_group_name_H-M 'P 1'
_symmetry_Int_Tables_number 1
_symmetry_space_group_name_Hall 'P 1'
loop_
_atom_site_label
_atom_site_type_symbol
_atom_site_fract_x
_atom_site_fract_y
_atom_site_fract_z
La1 La 0.0000 0.5000 0.0000
La2 La 0.5000 0.0000 0.0000
Sc1 Sc 0.0000 0.0000 0.5000
Au1 Au 0.5000 0.5000 0.5000
O1 O 0.0000 0.0000 0.0000
# Density of states at the Fermi level = 4.7 states/eV/cell

Record 4
# PBE-GGA LaSc4Au3O12, relaxed
data_LaSc4Au3O12
_chemical_formula_sum 'La1 Sc4 Au3 O12'
_cell_length_a 6.8631
_cell_length_b 6.8631
_cell_length_c 6.8631
_cell_angle_alpha 109.47
_cell_angle_beta 109.47
_cell_angle_gamma 109.47
_symmetry_space_group_name_H-M 'P 1'
_symmetry_Int_Tables_number 1
_symmetry_space_group_name_Hall 'P 1'
loop_
_atom_site_label
_atom_site_type_symbol
_atom_site_fract_x
_atom_site_fract_y
_atom_site_fract_z
La1 La 0.0000 0.0000 0.0000
- - -
**End of the records of crystals**
Economics isn't only an academic subject or something for super-geniuses running the world behind the scenes - it IS the world. And it's not hard to understand. And we can be free of the ruling classes' oppression, we can be free of wage-slavery, we can be free of the increasing precarity of the capitalist world. It can be done and it starts here!
This is an essay created by Andrew Usher. Please do not edit it; but only comment in discussion.
Also see the original Usenet thread in which this was posted:!topic/